Now echo the whole of the rows further below verbatim.

Ti2VP3O12 | GGA+U | relaxed Values from VASP.

Values from the calculation:
volume = 12.69 Å³/atom
space-group type = R-3c
D(E_F) = 0.22 states/eV/atom
uncorrected energy = -0.2923 hartree per atom

```
&SYSTEM
  ibrav = 0, nat = 36, ntyp = 4
/
ATOMIC_SPECIES
O 16.00 O.upf
Ti 47.87 Ti.upf
P 30.97 P.upf
V 50.94 V.upf
ATOMIC_POSITIONS angstrom
O -0.3796 -10.2028 3.1293
O 2.2504 -12.0087 0.5825
O 1.8336 -12.7239 -1.8127
O 7.1018 -10.7167 1.8070
O 4.7307 -11.2286 1.0732
O 3.5124 -8.0266 2.1406
O 0.0136 -11.5938 -0.3949
O -1.3389 -9.3186 0.9162
O 3.3697 -5.8065 0.4854
O 2.3932 -14.2287 2.2378
O 3.9292 -7.3113 4.5359
O 2.7647 -8.5784 -0.3367
O 4.5164 -13.8818 0.2966
O 4.5075 -8.0466 -2.0981
O 1.2465 -6.1534 2.4265
O 2.8898 -10.0230 5.0755
O 1.0322 -8.8067 1.6500
O 0.7450 -6.6789 -0.3786
O 5.0178 -13.3563 3.1017
O 2.8730 -10.0123 -2.3524
O 2.9982 -11.4569 3.0599
O 5.7492 -8.4414 3.1180
O 1.2553 -11.9886 4.8212
O 6.1425 -9.8325 -0.4062
Ti 4.9281 -17.1332 2.3287
Ti 0.8347 -2.9020 0.3944
Ti 3.7162 -12.9197 1.7560
Ti 2.0467 -7.1156 0.9671
P 6.1902 -11.0106 0.5812
P -0.4274 -9.0247 2.1420
P 3.0600 -8.5661 -1.8640
P 1.1920 -12.5820 -0.4028
P 2.7028 -11.4692 4.5871
P 4.5709 -7.4533 3.1259
V 0.0000 0.0000 0.0000
V 2.8814 -10.0176 1.3616
CELL_PARAMETERS angstrom
-2.6495 -8.1822 -0.4839
5.5233 -6.1089 -2.5253
2.8890 -5.7442 5.7323
```

~~~~~

[1]
An optimized crystal structure of YHoCu3, computed with PBE-GGA.

As for the space-group type: Cmcm (63). The magnetization is 0.00 μB per cell. Its formation energy is -0.251 eV/atom.

```
YHoCu3
1.0
-0.504 1.714 -3.134
-4.244 -0.355 0.488
0.025 10.291 7.702
Y Cu Ho
2 6 2
Direct
0.071 0.250 0.143
0.929 0.750 0.857
0.477 0.250 0.954
0.382 0.250 0.763
0.328 0.750 0.656
0.672 0.250 0.344
0.618 0.750 0.237
0.523 0.750 0.046
0.796 0.250 0.592
0.204 0.750 0.408
```

[2]
An optimized crystal structure of YHoCu2, computed with PBE-GGA.

As for the space-group type: Fm-3m (225). The magnetization is 0.00 μB per cell. Its formation energy is -0.251 eV/atom.

```
YHoCu2
1.0
-1.475 -0.324 4.667
-1.293 -4.347 1.868
2.861 -2.187 3.330
Cu Y Ho
2 1 1
Direct
0.750 0.750 0.750
0.250 0.250 0.250
0.000 0.000 0.000
0.500 0.500 0.500
```

[3]
An optimized crystal structure of YHoCu2, computed with PBE-GGA.

As for the space-group type: Pm (6). The magnetization is 0.00 μB per cell. Its formation energy is -0.259 eV/atom.

```
YHoCu2
1.0
-0.673 3.639 0.555
-4.373 -0.732 -0.501
-0.094 -2.710 4.781
Y Cu Ho
1 2 1
Direct
0.725 0.000 0.987
0.009 0.000 0.560
0.155 0.500 0.846
0.442 0.500 0.425
```

[4]
An optimized crystal structure of YHo4Cu, computed with PBE-GGA.

As for the space-group type: P4/mmm (123). The magnetization is 0.00 μB per cell. Its formation energy is -0.057 eV/atom.

```
YHo4Cu
1.0
3.490 0.000 0.000
0.000 3.490 0.000
0.000 0.000 13.714
Y Ho Cu
1 4 1
Direct
0.000 0.000 0.000
0.500 0.500 0.185
0.500 0.500 0.815
0.000 0.000 0.376
0.000 0.000 0.624
0.500 0.500 0.500
```

[5]
An optimized crystal structure of YHoCu, computed with PBE-GGA.

As for the space-group type: I4mm (107). The magnetization is 0.39 μB per cell. Its formation energy is -0.132 eV/atom.

```
YHoCu
1.0
3.478 0.000 0.000
0.000 3.478 0.000
-1.739 -1.739 6.165
Y Ho Cu
1 1 1
Direct
0.027 0.027 0.054
0.304 0.304 0.607
0.670 0.670 0.339
```

[6]
An optimized crystal structure of Ho4ZnCu, computed with PBE-GGA.

As for the space-group type: P4/mmm (123). The magnetization is 0.00 μB per cell. Its formation energy is 0.028 eV/atom.

```
Ho4ZnCu
1.0
-0.471 -2.921 3.849
4.343 -1.951 -0.950
3.019 4.772 3.993
Ho Zn Cu
4 1 1
Direct
0.001 0.497 0.254
0.501 0.997 0.254
0.501 0.997 0.742

Ti2VP3O12 | GGA+U | relaxed Values from VASP.

Values from the calculation:
volume = 12.69 Å³/atom
space-group type = R-3c
D(E_F) = 0.22 states/eV/atom
uncorrected energy = -0.2923 hartree per atom

```
&SYSTEM
  ibrav = 0, nat = 36, ntyp = 4
/
ATOMIC_SPECIES
O 16.00 O.upf
Ti 47.87 Ti.upf
P 30.97 P.upf
V 50.94 V.upf
ATOMIC_POSITIONS angstrom
O -0.3796 -10.2028 3.1293
O 2.2504 -12.0087 0.5825
O 1.8336 -12.7239 -1.8127
O 7.1018 -10.7167 1.8070
O 4.7307 -11.2286 1.0732
O 3.5124 -8.0266 2.1406
O 0.0136 -11.5938 -0.3949
O -1.3389 -9.3186 0.9162
O 3.3697 -5.8065 0.4854
O 2.3932 -14.2287 2.2378
O 3.9292 -7.3113 4.5359
O 2.7647 -8.5784 -0.3367
O 4.5164 -13.8818 0.2966
O 4.5075 -8.0466 -2.0981
O 1.2465 -6.1534 2.4265
O 2.8898 -10.0230 5.0755
O 1.0322 -8.8067 1.6500
O 0.7450 -6.6789 -0.3786
O 5.0178 -13.3563 3.1017
O 2.8730 -10.0123 -2.3524
O 2.9982 -11.4569 3.0599
O 5.7492 -8.4414 3.1180
O 1.2553 -11.9886 4.8212
O 6.1425 -9.8325 -0.4062
Ti 4.9281 -17.1332 2.3287
Ti 0.8347 -2.9020 0.3944
Ti 3.7162 -12.9197 1.7560
Ti 2.0467 -7.1156 0.9671
P 6.1902 -11.0106 0.5812
P -0.4274 -9.0247 2.1420
P 3.0600 -8.5661 -1.8640
P 1.1920 -12.5820 -0.4028
P 2.7028 -11.4692 4.5871
P 4.5709 -7.4533 3.1259
V 0.0000 0.0000 0.0000
V 2.8814 -10.0176 1.3616
CELL_PARAMETERS angstrom
-2.6495 -8.1822 -0.4839
5.5233 -6.1089 -2.5253
2.8890 -5.7442 5.7323
```

~~~~~

[1]
An optimized crystal structure of YHoCu3, computed with PBE-GGA.

As for the space-group type: Cmcm (63). The magnetization is 0.00 μB per cell. Its formation energy is -0.251 eV/atom.

```
YHoCu3
1.0
-0.504 1.714 -3.134
-4.244 -0.355 0.488
0.025 10.291 7.702
Y Cu Ho
2 6 2
Direct
0.071 0.250 0.143
0.929 0.750 0.857
0.477 0.250 0.954
0.382 0.250 0.763
0.328 0.750 0.656
0.672 0.250 0.344
0.618 0.750 0.237
0.523 0.750 0.046
0.796 0.250 0.592
0.204 0.750 0.408
```

[2]
An optimized crystal structure of YHoCu2, computed with PBE-GGA.

As for the space-group type: Fm-3m (225). The magnetization is 0.00 μB per cell. Its formation energy is -0.251 eV/atom.

```
YHoCu2
1.0
-1.475 -0.324 4.667
-1.293 -4.347 1.868
2.861 -2.187 3.330
Cu Y Ho
2 1 1
Direct
0.750 0.750 0.750
0.250 0.250 0.250
0.000 0.000 0.000
0.500 0.500 0.500
```

[3]
An optimized crystal structure of YHoCu2, computed with PBE-GGA.

As for the space-group type: Pm (6). The magnetization is 0.00 μB per cell. Its formation energy is -0.259 eV/atom.

```
YHoCu2
1.0
-0.673 3.639 0.555
-4.373 -0.732 -0.501
-0.094 -2.710 4.781
Y Cu Ho
1 2 1
Direct
0.725 0.000 0.987
0.009 0.000 0.560
0.155 0.500 0.846
0.442 0.500 0.425
```

[4]
An optimized crystal structure of YHo4Cu, computed with PBE-GGA.

As for the space-group type: P4/mmm (123). The magnetization is 0.00 μB per cell. Its formation energy is -0.057 eV/atom.

```
YHo4Cu
1.0
3.490 0.000 0.000
0.000 3.490 0.000
0.000 0.000 13.714
Y Ho Cu
1 4 1
Direct
0.000 0.000 0.000
0.500 0.500 0.185
0.500 0.500 0.815
0.000 0.000 0.376
0.000 0.000 0.624
0.500 0.500 0.500
```

[5]
An optimized crystal structure of YHoCu, computed with PBE-GGA.

As for the space-group type: I4mm (107). The magnetization is 0.39 μB per cell. Its formation energy is -0.132 eV/atom.

```
YHoCu
1.0
3.478 0.000 0.000
0.000 3.478 0.000
-1.739 -1.739 6.165
Y Ho Cu
1 1 1
Direct
0.027 0.027 0.054
0.304 0.304 0.607
0.670 0.670 0.339
```

[6]
An optimized crystal structure of Ho4ZnCu, computed with PBE-GGA.

As for the space-group type: P4/mmm (123). The magnetization is 0.00 μB per cell. Its formation energy is 0.028 eV/atom.

```
Ho4ZnCu
1.0
-0.471 -2.921 3.849
4.343 -1.951 -0.950
3.019 4.772 3.993
Ho Zn Cu
4 1 1
Direct
0.001 0.497 0.254
0.501 0.997 0.254
0.501 0.997 0.742